Input:
____________
Record 1
Crystalline LiErTmHg at its relaxed geometry. Source: Alexandria, functional PBE.

Cell: 7.303 7.303 7.303 Å, 90.00 90.00 90.00°
Space group F-43m (No. 216)
Inequivalent atoms, fractional coordinates:
Li  0.000  0.000  0.000 [4 per cell]
Er  0.250  0.250  0.250 [4 per cell]
Tm  0.250  0.250  0.750 [4 per cell]
Hg  0.000  0.000  0.500 [4 per cell]

Summary:
D(E_F) in states/eV/cell: 16.70
Calculated volume in Å³/atom: 24.35
E_form in eV/atom: -0.215
ρ in g/cm³: 9.3

---

Record 2
Crystalline Pm3GaAs at its relaxed geometry. Source: Alexandria, functional PBE.

Cell: 5.514 5.514 5.514 Å, 90.00 90.00 90.00°
Space group Pm-3m (No. 221)
Inequivalent atoms, fractional coordinates:
Pm  0.000  0.000  0.500 [3 per cell]
Ga  0.500  0.500  0.500 [1 per cell]
As  0.000  0.000  0.000 [1 per cell]

Summary:
D(E_F) in states/eV/cell: 2.77
Calculated volume in Å³/atom: 33.53
E_form in eV/atom: -0.402
ρ in g/cm³: 5.7

---

Record 3
Crystalline PaNiPt4 at its relaxed geometry. Source: Alexandria, functional PBE.

Cell: 7.491 7.491 7.491 Å, 90.00 90.00 90.00°
Space group F-43m (No. 216)
Inequivalent atoms, fractional coordinates:
Pa  0.000  0.000  0.000 [4 per cell]
Ni  0.250  0.250  0.750 [4 per cell]
Pt  0.124  0.124  0.376 [16 per cell]

Summary:
Distance to the lowest polymorph of the same formula in eV/atom: 0.020
D(E_F) in states/eV/cell: 29.45
Calculated volume in Å³/atom: 17.52
E_form in eV/atom: -0.619
ρ in g/cm³: 16.9

---

Which of these has the highest D(E_F)? PaNiPt4

=====

## AcLa2AgRu (PBE-GGA)

Data for an optimized crystal structure of AcLa2AgRu.

Results
Space group: P4mm, No. 99
DOS(E_F) in states/eV per cell: 4.4
Energy of formation from the pure elements in eV/atom: -0.13

Geometry as POSCAR:
```
AcLa2AgRu
1.0
-3.562 -1.590 -3.800
2.648 -4.732 -0.503
-3.422 -2.361 4.196
La Ag Ac Ru
2 1 1 1
Direct
0.500 0.000 0.958
0.000 0.500 0.958
0.500 0.500 0.597
0.000 0.000 0.484
0.000 0.000 0.002
```

## AcLaAg2S4 (PBE-GGA)

Data for an optimized crystal structure of AcLaAg2S4.

Results
Space group: I222, No. 23
DOS(E_F) in states/eV per cell: 0.5
E_form (uncorrected) in eV per atom: -1.27

Geometry as POSCAR:
```
AcLaAg2S4
1.0
-3.449 -5.334 -2.883
-0.597 -5.705 2.832
-6.061 -1.432 1.462
S Ag La Ac
4 2 1 1
Direct
0.550 0.454 0.928
0.450 0.072 0.546
0.069 0.928 0.454
0.931 0.546 0.072
0.821 0.679 0.679
0.179 0.321 0.321
0.500 0.500 0.500
0.000 0.000 0.000
```

## AcLa2AgS5 (PBE-GGA)

Data for an optimized crystal structure of AcLa2AgS5.

Results
Space group: Cmc2_1, No. 36
E_form (uncorrected) in eV per atom: -1.76

Geometry as POSCAR:
```
AcLa2AgS5
1.0
4.136 0.000 0.000
-2.068 8.522 0.000
0.000 0.000 12.654
Ag La S Ac
2 4 10 2
Direct
0.495 0.989 0.485
0.505 0.011 0.985
0.876 0.753 0.178
0.124 0.247 0.678
0.117 0.233 0.301
0.883 0.767 0.801
0.304 0.607 0.661
0.493 0.985 0.289
0.299 0.597 0.324
0.696 0.393 0.161
0.352 0.703 0.002
0.648 0.297 0.502
0.031 0.061 0.092
0.701 0.403 0.824
0.507 0.015 0.789
0.969 0.939 0.592
0.180 0.360 0.992
0.820 0.640 0.492
```

## AcLaScAg (PBE-GGA)

Data for an optimized crystal structure of AcLaScAg.

Results
Space group: F-43m, No. 216
DOS(E_F) in states/eV per cell: 5.0
Energy of formation from the pure elements in eV/atom: 0.18

Geometry as POSCAR:
```
AcLaScAg
1.0
-1.474 5.208 -0.980
-1.775 1.462 -4.997
-5.298 1.259 -0.778
Sc Ag La Ac
1 1 1 1
Direct
0.000 0.000 0.000
0.750 0.750 0.750
0.500 0.500 0.500
0.250 0.250 0.250
```

## AcLaAg2Se4 (PBE-GGA)

Data for an optimized crystal structure of AcLaAg2Se4.

Results
Space group: I222, No. 23
DOS(E_F) in states/eV per cell: 0.8
E_form (uncorrected) in eV per atom: -1.19

Geometry as POSCAR:
```
AcLaAg2Se4
1.0
-1.902 -2.482 -6.562
-4.371 -4.910 -0.902
-5.446 2.016 -3.210
Ac Ag Se La
1 2 4 1
Direct
0.000 0.000 0.000
0.829 0.671 0.671
0.171 0.329 0.329
0.544 0.458 0.935
0.063 0.935 0.458
0.456 0.065 0.542
0.937 0.542 0.065
0.500 0.500 0.500
```

## Ac2LaAgSe5 (PBE-GGA)

Data for an optimized crystal structure of Ac2LaAgSe5.

Results
____________
To do:
What is needed: filter the calculation results earlier on: keep the lines with the word "DOS".
Result:
DOS(E_F) in states/eV per cell: 4.4
DOS(E_F) in states/eV per cell: 0.5
DOS(E_F) in states/eV per cell: 5.0
DOS(E_F) in states/eV per cell: 0.8